Assignment
Repeat the data further below verbatim.

Entries
____________
DFT (the ωB97M-V functional and the def2-TZVPD basis) results for a molecular structure, C4H13ClGaN3O4SbSe4.

Computed properties:
E_tot	-349830.3316	eV
gap between HOMO and LUMO	6.9	eV
total charge	+1
maximum force	0.0049	hartree/bohr
relative energy (zero: lowest compared OMol25 entry of this formula, charge and spin)	0.4	kcal per mole

Structure (XYZ):
```
31
Properties=species:S:1:pos:R:3:forces:R:3
Ga 0.1594 0.3796 0.3981 -0.0708 -0.0710 -0.2032
N 0.6231 -1.5446 -0.1214 -0.0426 0.1184 -0.1313
C -0.4603 -2.1325 -0.9501 0.0374 0.0039 -0.0062
C -1.7874 -1.4325 -0.6758 -0.0244 -0.0010 -0.0064
N -1.6504 0.0486 -0.6625 -0.0057 -0.0362 -0.0590
C -1.6741 0.7270 -1.9765 0.0032 -0.0088 0.0357
C -0.2921 0.7200 -2.6180 -0.0102 -0.0071 -0.0427
N 0.7072 1.0839 -1.5962 -0.0400 -0.0251 0.0963
H 1.5249 -1.6450 -0.5801 0.0055 0.0179 -0.0225
H 0.7539 -2.0538 0.7695 -0.0300 -0.0981 0.0637
H -0.5703 -3.1946 -0.7337 0.0006 -0.0027 0.0133
H -0.1813 -2.0487 -1.9980 0.0052 -0.0105 0.0078
H -2.1491 -1.7199 0.3109 0.0037 0.0080 0.0043
H -2.5265 -1.7417 -1.4170 -0.0107 0.0058 0.0128
H -2.4075 0.4178 -0.0949 0.0139 -0.0031 0.0167
H -1.9848 1.7571 -1.7971 0.0002 -0.0015 0.0031
H -2.4060 0.2675 -2.6431 0.0008 0.0015 0.0026
H -0.2837 1.4136 -3.4588 0.0201 -0.0001 0.0082
H -0.0446 -0.2619 -3.0154 0.0050 0.0073 0.0152
H 0.7615 2.0952 -1.4961 0.0092 0.0051 -0.0096
H 1.6391 0.7795 -1.8617 0.0120 0.0186 -0.0064
Se 1.9018 -2.7976 2.6475 0.0889 -0.1383 0.0809
Sb 0.8437 -1.0087 3.7871 -0.1326 0.1864 -0.1018
Se 0.1864 -0.9021 6.1675 0.0299 -0.0318 0.0276
Se 1.9141 0.6092 5.3177 0.0140 -0.0008 0.0717
Se -0.9710 0.1563 2.5165 0.0767 -0.0437 0.0208
O 2.5893 3.2598 0.4201 -0.0787 -0.0488 -0.0088
Cl 1.7075 2.4731 1.1884 -0.0146 0.0637 0.2193
O 1.7508 2.7120 2.5735 0.0766 0.0297 -0.1627
O 2.0080 1.0038 0.9247 -0.0407 -0.0018 0.0434
O 0.3181 2.5795 0.6748 0.0981 0.0641 0.0173
```
Forces are in eV/Å.

Löwdin population analysis, charges in e, atoms 1 to 5: 0.062 0.000 -0.163 -0.161 -0.109

=====

DFT (the ωB97M-V functional and the def2-TZVPD basis) results for 2 unconnected molecules or ions with the total composition C8H21N2.

Computed properties:
E_tot	-11606.0442	eV
gap between HOMO and LUMO	7.5	eV
total charge	+1
maximum force	0.0974	hartree/bohr
relative energy (zero: lowest compared OMol25 entry of this formula, charge and spin)	61.9	kcal per mole

Structure (XYZ):
```
31
Properties=species:S:1:pos:R:3:forces:R:3
C -2.2376 0.7439 -1.0842 0.2118 -0.9054 1.4268
C -1.5252 -1.4468 -0.0684 -0.7265 -2.2115 0.1877
C -2.5506 0.1635 1.4493 -3.9816 3.0224 0.3187
C 1.0223 -0.2581 1.8407 0.4332 -1.0584 -1.3133
C 2.3258 -1.2931 0.0556 1.3890 -1.1824 2.7811
C 1.6645 1.7356 -0.1838 -1.5237 1.2526 1.6036
C 0.7798 0.2707 -1.9047 1.8569 -0.3605 -0.0801
C -2.0590 -0.1781 0.1570 -0.4975 0.1443 -3.2034
N 1.1130 -0.6127 0.3489 -1.2317 1.6165 0.7427
N 0.9140 0.5530 -0.4858 -1.8888 -0.3272 0.2330
H -3.2461 1.1159 -1.0509 -0.2557 0.8662 0.2500
H -1.4335 1.4581 -0.9522 -0.3955 0.8347 0.0975
H -2.1174 0.3573 -2.0961 0.1750 -0.8512 0.4696
H -1.6093 -2.2958 0.6881 -0.4131 1.3084 -0.7542
H -0.4136 -1.2911 0.0479 1.5545 0.7033 0.0951
H -1.6229 -1.7803 -1.1061 0.0688 -0.0507 0.2697
H -2.6159 1.2554 1.8003 0.5485 -1.3892 -0.9422
H -3.7643 -0.0497 1.3887 2.8618 0.0249 0.1005
H -2.0950 -0.4217 2.1683 0.4363 -1.3033 1.7196
H 1.8733 0.3454 2.0938 0.2575 0.5913 0.2438
H 0.0909 0.2025 2.1592 -0.0074 0.2463 -0.5439
H 1.1372 -1.1693 2.4355 -0.0861 -0.1230 -0.4175
H 3.2264 -0.6680 0.3343 -0.6782 -0.7568 -0.1820
H 2.2535 -2.2251 0.7383 0.7538 1.2448 -1.3470
H 2.4021 -1.5690 -0.9649 -0.0667 -0.3677 -0.9061
H 1.2862 2.6422 -0.6411 -0.5602 -0.2298 -1.2262
H 1.3297 2.1166 0.8524 1.8226 -1.1081 -0.9076
H 2.6687 1.6610 -0.5550 1.0993 0.1473 0.8608
H 0.5698 -0.7491 -2.1362 -0.6051 -0.9296 0.3867
H 0.0318 0.8657 -2.3797 -0.3352 0.6692 -0.1922
H 1.7365 0.3811 -2.4556 -0.2159 0.4826 0.2287
```
Forces are in eV/Å.

Löwdin population analysis, charges in e, atoms 1 to 5: -0.001 -0.035 -0.036 -0.020 -0.078

=====
____________

Written answer
DFT (the ωB97M-V functional and the def2-TZVPD basis) results for a molecular structure, C4H13ClGaN3O4SbSe4.

Computed properties:
E_tot	-349830.3316	eV
gap between HOMO and LUMO	6.9	eV
total charge	+1
maximum force	0.0049	hartree/bohr
relative energy (zero: lowest compared OMol25 entry of this formula, charge and spin)	0.4	kcal per mole

Structure (XYZ):
```
31
Properties=species:S:1:pos:R:3:forces:R:3
Ga 0.1594 0.3796 0.3981 -0.0708 -0.0710 -0.2032
N 0.6231 -1.5446 -0.1214 -0.0426 0.1184 -0.1313
C -0.4603 -2.1325 -0.9501 0.0374 0.0039 -0.0062
C -1.7874 -1.4325 -0.6758 -0.0244 -0.0010 -0.0064
N -1.6504 0.0486 -0.6625 -0.0057 -0.0362 -0.0590
C -1.6741 0.7270 -1.9765 0.0032 -0.0088 0.0357
C -0.2921 0.7200 -2.6180 -0.0102 -0.0071 -0.0427
N 0.7072 1.0839 -1.5962 -0.0400 -0.0251 0.0963
H 1.5249 -1.6450 -0.5801 0.0055 0.0179 -0.0225
H 0.7539 -2.0538 0.7695 -0.0300 -0.0981 0.0637
H -0.5703 -3.1946 -0.7337 0.0006 -0.0027 0.0133
H -0.1813 -2.0487 -1.9980 0.0052 -0.0105 0.0078
H -2.1491 -1.7199 0.3109 0.0037 0.0080 0.0043
H -2.5265 -1.7417 -1.4170 -0.0107 0.0058 0.0128
H -2.4075 0.4178 -0.0949 0.0139 -0.0031 0.0167
H -1.9848 1.7571 -1.7971 0.0002 -0.0015 0.0031
H -2.4060 0.2675 -2.6431 0.0008 0.0015 0.0026
H -0.2837 1.4136 -3.4588 0.0201 -0.0001 0.0082
H -0.0446 -0.2619 -3.0154 0.0050 0.0073 0.0152
H 0.7615 2.0952 -1.4961 0.0092 0.0051 -0.0096
H 1.6391 0.7795 -1.8617 0.0120 0.0186 -0.0064
Se 1.9018 -2.7976 2.6475 0.0889 -0.1383 0.0809
Sb 0.8437 -1.0087 3.7871 -0.1326 0.1864 -0.1018
Se 0.1864 -0.9021 6.1675 0.0299 -0.0318 0.0276
Se 1.9141 0.6092 5.3177 0.0140 -0.0008 0.0717
Se -0.9710 0.1563 2.5165 0.0767 -0.0437 0.0208
O 2.5893 3.2598 0.4201 -0.0787 -0.0488 -0.0088
Cl 1.7075 2.4731 1.1884 -0.0146 0.0637 0.2193
O 1.7508 2.7120 2.5735 0.0766 0.0297 -0.1627
O 2.0080 1.0038 0.9247 -0.0407 -0.0018 0.0434
O 0.3181 2.5795 0.6748 0.0981 0.0641 0.0173
```
Forces are in eV/Å.

Löwdin population analysis, charges in e, atoms 1 to 5: 0.062 0.000 -0.163 -0.161 -0.109

=====

DFT (the ωB97M-V functional and the def2-TZVPD basis) results for 2 unconnected molecules or ions with the total composition C8H21N2.

Computed properties:
E_tot	-11606.0442	eV
gap between HOMO and LUMO	7.5	eV
total charge	+1
maximum force	0.0974	hartree/bohr
relative energy (zero: lowest compared OMol25 entry of this formula, charge and spin)	61.9	kcal per mole

Structure (XYZ):
```
31
Properties=species:S:1:pos:R:3:forces:R:3
C -2.2376 0.7439 -1.0842 0.2118 -0.9054 1.4268
C -1.5252 -1.4468 -0.0684 -0.7265 -2.2115 0.1877
C -2.5506 0.1635 1.4493 -3.9816 3.0224 0.3187
C 1.0223 -0.2581 1.8407 0.4332 -1.0584 -1.3133
C 2.3258 -1.2931 0.0556 1.3890 -1.1824 2.7811
C 1.6645 1.7356 -0.1838 -1.5237 1.2526 1.6036
C 0.7798 0.2707 -1.9047 1.8569 -0.3605 -0.0801
C -2.0590 -0.1781 0.1570 -0.4975 0.1443 -3.2034
N 1.1130 -0.6127 0.3489 -1.2317 1.6165 0.7427
N 0.9140 0.5530 -0.4858 -1.8888 -0.3272 0.2330
H -3.2461 1.1159 -1.0509 -0.2557 0.8662 0.2500
H -1.4335 1.4581 -0.9522 -0.3955 0.8347 0.0975
H -2.1174 0.3573 -2.0961 0.1750 -0.8512 0.4696
H -1.6093 -2.2958 0.6881 -0.4131 1.3084 -0.7542
H -0.4136 -1.2911 0.0479 1.5545 0.7033 0.0951
H -1.6229 -1.7803 -1.1061 0.0688 -0.0507 0.2697
H -2.6159 1.2554 1.8003 0.5485 -1.3892 -0.9422
H -3.7643 -0.0497 1.3887 2.8618 0.0249 0.1005
H -2.0950 -0.4217 2.1683 0.4363 -1.3033 1.7196
H 1.8733 0.3454 2.0938 0.2575 0.5913 0.2438
H 0.0909 0.2025 2.1592 -0.0074 0.2463 -0.5439
H 1.1372 -1.1693 2.4355 -0.0861 -0.1230 -0.4175
H 3.2264 -0.6680 0.3343 -0.6782 -0.7568 -0.1820
H 2.2535 -2.2251 0.7383 0.7538 1.2448 -1.3470
H 2.4021 -1.5690 -0.9649 -0.0667 -0.3677 -0.9061
H 1.2862 2.6422 -0.6411 -0.5602 -0.2298 -1.2262
H 1.3297 2.1166 0.8524 1.8226 -1.1081 -0.9076
H 2.6687 1.6610 -0.5550 1.0993 0.1473 0.8608
H 0.5698 -0.7491 -2.1362 -0.6051 -0.9296 0.3867
H 0.0318 0.8657 -2.3797 -0.3352 0.6692 -0.1922
H 1.7365 0.3811 -2.4556 -0.2159 0.4826 0.2287
```
Forces are in eV/Å.

Löwdin population analysis, charges in e, atoms 1 to 5: -0.001 -0.035 -0.036 -0.020 -0.078

=====